-- Entries --
'''
1.
Molecular formula: C22H36BN2O15
Method: DFT, ωB97M-V/def2-TZVPD

The geometry in XYZ format:
```
76
C22H36BN2O15 ωB97M-V/def2-TZVPD
C 2.052 -3.118 -1.747
O 2.324 -2.543 -0.429
C 0.976 -2.251 0.113
B 0.987 -1.757 1.673
O 2.053 -0.671 1.779
C 1.327 0.513 1.586
N 0.776 1.471 1.107
N 1.170 -2.843 2.718
C 0.093 -3.865 2.723
C 2.513 -3.405 2.769
C 3.035 -4.699 2.005
O 3.347 -2.830 3.539
H 1.380 -2.358 -2.285
H 3.016 -3.304 -2.337
H 1.519 -4.131 -1.674
H 0.257 -3.103 -0.131
H 0.607 -1.344 -0.512
H -0.069 -1.218 1.874
H 0.473 -4.850 3.172
H -0.389 -4.085 1.716
H -0.729 -3.492 3.439
H 4.172 -4.768 2.167
H 2.530 -5.654 2.401
H 2.872 -4.691 0.879
C 4.980 1.726 -1.939
C 4.384 1.149 -3.203
C 2.899 1.340 -3.310
O 2.500 0.221 -4.095
C 3.422 -0.756 -3.878
O 3.293 -1.896 -4.217
O 4.510 -0.271 -3.220
H 6.070 1.649 -1.968
H 4.711 2.776 -1.816
H 4.651 1.166 -1.059
H 4.902 1.547 -4.083
H 2.638 2.275 -3.811
H 2.381 1.295 -2.347
C 3.080 3.611 1.954
C 4.500 4.062 1.695
C 4.764 5.483 2.099
O 5.797 5.874 1.200
C 5.655 5.107 0.085
O 6.227 5.305 -0.950
O 4.778 4.089 0.294
H 2.976 2.546 1.739
H 2.792 3.782 2.994
H 2.375 4.129 1.298
H 5.209 3.374 2.168
H 5.103 5.562 3.134
H 3.906 6.146 1.954
C -2.324 0.348 -2.484
C -2.995 -0.872 -1.890
C -4.266 -0.560 -1.154
O -4.317 -1.594 -0.177
C -3.029 -1.975 0.059
O -2.689 -2.681 0.965
O -2.183 -1.447 -0.868
H -1.467 0.048 -3.092
H -3.014 0.914 -3.114
H -1.936 1.004 -1.700
H -3.156 -1.630 -2.663
H -5.138 -0.601 -1.803
H -4.248 0.405 -0.641
C -9.302 -0.440 1.369
C -7.891 0.012 1.061
C -7.627 1.446 1.420
O -6.621 1.817 0.485
C -6.786 1.020 -0.605
O -6.241 1.191 -1.656
O -7.651 0.001 -0.345
H -9.402 -1.513 1.185
H -9.565 -0.243 2.410
H -10.026 0.056 0.717
H -7.166 -0.658 1.535
H -7.262 1.555 2.443
H -8.493 2.099 1.279
```

Calculated values
E_tot = -2122.9405 Ha
Charge = -1
Orbital gap = 6.44 eV
Spin multiplicity = 1
HOMO energy = -4.49 eV

Atom charges from the Mulliken analysis, given in e for atoms 1 to 5: -0.565, -0.394, -0.184, 0.884, -0.524

2.
Molecular formula: C22H36Cl18F3IN3P
Method: DFT, ωB97M-V/def2-TZVPD

The geometry in XYZ format:
```
84
C22H36Cl18F3IN3P ωB97M-V/def2-TZVPD
C 4.011 3.782 2.565
C 3.897 3.130 3.987
P 4.991 1.659 4.350
C 6.284 1.592 2.980
C 4.016 -0.016 4.299
C 4.201 -0.449 5.771
N 4.149 -0.701 6.862
C 4.849 -1.180 3.614
C 4.837 -1.307 2.092
N 5.878 -1.200 1.388
C 2.485 0.016 4.021
C 2.075 -1.451 3.764
N 1.828 -2.523 3.544
C 1.879 0.789 2.810
C 2.690 0.895 1.493
C 2.013 1.954 0.547
I 0.799 0.888 -0.929
C 1.566 0.375 5.260
F 0.324 0.736 4.846
F 1.313 -0.684 6.023
F 2.006 1.413 5.958
H 4.445 3.155 1.773
H 2.981 4.037 2.234
H 4.542 4.751 2.602
H 4.248 3.906 4.698
H 2.834 2.994 4.234
H 5.864 1.487 1.969
H 7.025 0.828 3.255
H 6.818 2.564 3.015
H 4.611 -2.166 4.063
H 5.897 -0.991 3.928
H 3.922 -1.550 1.526
H 6.683 -0.996 1.991
H 1.514 1.809 3.041
H 0.951 0.251 2.530
H 2.566 -0.066 0.959
H 3.776 1.046 1.592
H 1.285 2.582 1.085
H 2.749 2.537 -0.023
C -1.559 -2.059 -2.567
Cl -1.799 -3.634 -3.336
Cl -0.751 -0.917 -3.659
H -2.531 -1.648 -2.284
H -0.941 -2.190 -1.683
C -2.327 3.694 -1.750
Cl -2.793 1.993 -1.607
Cl -0.642 3.944 -1.277
H -2.452 4.010 -2.781
H -2.966 4.283 -1.101
C -4.208 -1.943 0.552
Cl -4.450 -3.526 -0.195
Cl -3.393 -0.824 -0.552
H -5.176 -1.528 0.818
H -3.599 -2.065 1.441
C -4.607 -0.349 -4.072
Cl -5.761 -0.132 -5.395
Cl -4.990 -1.771 -3.100
H -3.612 -0.470 -4.489
H -4.636 0.531 -3.434
C -0.721 2.062 -6.001
Cl 0.152 2.008 -4.458
Cl -2.323 1.331 -5.881
H -0.836 3.098 -6.299
H -0.145 1.524 -6.746
C -1.510 1.068 -9.907
Cl -1.430 -0.264 -8.743
Cl -1.097 2.624 -9.177
H -0.811 0.868 -10.712
H -2.520 1.126 -10.299
C -8.472 -3.294 -0.746
Cl -7.875 -2.860 0.861
Cl -10.212 -3.597 -0.729
H -8.265 -2.476 -1.429
H -7.962 -4.192 -1.077
C 4.993 -3.966 7.269
Cl 3.793 -3.836 5.979
Cl 4.691 -5.373 8.295
H 5.978 -4.062 6.823
H 4.947 -3.068 7.878
C -9.077 -1.661 -6.761
Cl -10.584 -1.237 -5.941
Cl -9.164 -1.317 -8.493
H -8.269 -1.081 -6.329
H -8.889 -2.721 -6.623
```

Calculated values
'''
-- Activity --
Your job: search the data above for the word "to" and repeat each line that has it.
-- Response --
Atom charges from the Mulliken analysis, given in e for atoms 1 to 5: -0.565, -0.394, -0.184, 0.884, -0.524